Listing.
........
# 1
Density functional theory data (PBE-GGA) for an optimized crystal structure of Be2HgP.

abc: 3.461 3.433 5.003
angles: 90.00 99.65 90.00
Space group P2/m (No. 10)
Inequivalent atoms, fractional coordinates:
Be 0.000 0.000 0.000
Be 0.500 0.500 0.500
Hg 0.000 0.000 0.500
P 0.500 0.500 0.000

Output
**Energy of formation**: 0.4573 eV/atom
**M_tot**: 0.00 Bohr magnetons per cell
**Energy above the most stable polymorph in this dataset**: 32.33 kJ per mole of atoms
**DFT total energy**: -2.834 eV per atom
**Density of states at the Fermi level**: 0.379 states/eV/atom

# 2
Density functional theory data (PBE-GGA) for an optimized crystal structure of Tb2NdYTm2.

abc: 6.951 9.771 5.615
angles: 90.00 90.00 90.00
Space group Pnnm (No. 58)
Inequivalent atoms, fractional coordinates:
Tb 0.248 0.167 0.000
Nd 0.000 0.500 0.000
Y 0.000 0.000 0.500
Tm 0.250 0.334 0.500

Output
**Energy of formation**: 0.0697 eV/atom
**M_tot**: 0.00 Bohr magnetons per cell
**DFT total energy**: -4.836 eV per atom
**Density of states at the Fermi level**: 1.616 states/eV/atom

# 3
Density functional theory data (PBE-GGA) for an optimized crystal structure of SmY2ScSe4.

abc: 7.022 4.025 7.101
angles: 90.00 109.01 90.00
Space group P2/m (No. 10)
Inequivalent atoms, fractional coordinates:
Sm 0.000 0.000 0.000
Y 0.500 0.000 0.500
Y 0.500 0.500 0.000
Sc 0.000 0.500 0.500
Se 0.242 0.000 0.737
Se 0.250 0.500 0.261

Output
**Energy relative to the elements, uncorrected**: -1.7151 eV/atom
**M_tot**: 0.00 Bohr magnetons per cell
**DFT total energy**: -6.455 eV per atom
**Density of states at the Fermi level**: 0.622 states/eV/atom

# 4
Density functional theory data (PBE-GGA) for an optimized crystal structure of Al12ZnGa6.

abc: 11.5292 11.5292 9.9595
angles: 90.00 90.00 120.00
Space group R-3 (No. 148, hexagonal axes)
Inequivalent atoms, fractional coordinates:
Al 0.0384 0.7995 0.4385
Al 0.0482 0.8074 0.9173
Zn 0.0000 0.0000 0.5000
Ga 0.0428 0.8259 0.1814

Output
**Energy of formation**: 0.1185 eV/atom
**M_tot**: 0.00 Bohr magnetons per cell
**Energy above the most stable polymorph in this dataset**: 4.45 kJ per mole of atoms
**DFT total energy**: -3.268 eV per atom
**Density of states at the Fermi level**: 0.285 states/eV/atom

# 5
Density functional theory data (PBE-GGA) for an optimized crystal structure of HfHg.

abc: 3.485 3.485 3.485
angles: 90.00 90.00 90.00
Space group Pm-3m (No. 221)
Inequivalent atoms, fractional coordinates:
Hf 0.000 0.000 0.000
Hg 0.500 0.500 0.500

Output
**Energy of formation**: 0.0033 eV/atom
**M_tot**: 0.00 Bohr magnetons per cell
**DFT total energy**: -5.124 eV per atom
**Density of states at the Fermi level**: 0.211 states/eV/atom

# 6
Density functional theory data (PBE-GGA) for an optimized crystal structure of CaDyTm2Se4.

abc: 7.046 4.053 7.058
angles: 90.00 109.17 90.00
Space group P2/m (No. 10)
Inequivalent atoms, fractional coordinates:
Ca 0.000 0.000 0.000
Dy 0.000 0.500 0.500
Tm 0.500 0.000 0.500
Tm 0.500 0.500 0.000
Se 0.256 0.000 0.752
Se 0.257 0.500 0.253

Output
**Energy relative to the elements, uncorrected**: -1.7649 eV/atom
**M_tot**: 0.00 Bohr magnetons per cell
**DFT total energy**: -5.451 eV per atom
**Density of states at the Fermi level**: 0.345 states/eV/atom

# 7
Density functional theory data (PBE-GGA) for an optimized crystal structure of Ba2MgSn2As4.

abc: 16.693 4.452 7.759
angles: 90.00 113.38 90.00
Space group C2/m (No. 12)
Inequivalent atoms, fractional coordinates:
Ba 0.128 0.000 0.057
Mg 0.000 0.000 0.500
Sn 0.162 0.500 0.480
As 0.004 0.500 0.746
As 0.197 0.000 0.701

Output
**Energy of formation**: -0.5385 eV/atom
**M_tot**: 0.00 Bohr magnetons per cell
**DFT total energy**: -4.099 eV per atom
**Density of states at the Fermi level**: 0.192 states/eV/atom

> Among the records above, which one has the lowest density of states at the Fermi level?

Ba2MgSn2As4


Record 1
Material: Rb2BrN
Method: DFT, meta-GGA SCAN
State: single point on PBEsol structure

calculated total energy	-17.78	eV per atom
........

Activity.
Please work out how many lines further up have the word "Se" in them; a number is enough.

Completed.
4